Tax cut may be short-lived

Vernon’s projected tax rate is below zero, but it may not stay there for long.

Vernon’s projected tax rate is below zero, but it may not stay there for long.

Council hammered out a 0.4 per cent decrease in taxes during a committee meeting Tuesday.

“That’s not where it will end up,” said Coun. Jack Gilroy.

“We have a bare bones budget and we’re drawing into reserves which is insanity. We have infrastructure needs and we have to think beyond 2011.”

Council will meet again Feb. 14 and Gilroy forecasts a final budget with a one per cent tax hike.

“We have to look at what we need,” he said.

Coun. Buffy Baumbrough is urging her colleagues to look at the current state of reserves.

“It’s really important to maintain a level of reserves when you look at the budget in the long-term,” she said.

“It means that some time in the future, we won’t have to hit taxpayers with a major tax increase all at once. We also need to be able to deal with unexpected issues.”

Coun. Bob Spiers isn’t satisfied with the financial approach taken by the rest of council.

Crystal structures, kept here for reference:
- - -
# 1
# BeCd2Re | Alexandria | PBE | relaxed
data_BeCd2Re
_chemical_formula_sum 'Be1 Cd2 Re1'
_symmetry_space_group_name_H-M 'P 1 m 1'
_symmetry_Int_Tables_number 6
_symmetry_space_group_name_Hall 'P -2y'
_cell_length_a 2.9347
_cell_length_b 3.3629
_cell_length_c 6.9520
_cell_angle_alpha 90.00
_cell_angle_beta 102.17
_cell_angle_gamma 90.00
loop_
_atom_site_label
_atom_site_fract_x
_atom_site_fract_y
_atom_site_fract_z
_atom_site_occupancy
Be1 0.0000 0.0000 0.0000 1
Cd1 0.1518 0.5000 0.2993 1
Cd2 0.8116 0.0000 0.6197 1
Re1 0.4591 0.5000 0.9175 1
# VASP energy	-16.533	eV/cell



# 2
# BeCd2Re | Alexandria | PBE | relaxed
data_BeCd2Re
_chemical_formula_sum 'Be1 Cd2 Re1'
_symmetry_space_group_name_H-M 'P 1 2/m 1'
_symmetry_Int_Tables_number 10
_symmetry_space_group_name_Hall '-P 2y'
_cell_length_a 2.7858
_cell_length_b 4.4979
_cell_length_c 5.3305
_cell_angle_alpha 90.00
_cell_angle_beta 105.13
_cell_angle_gamma 90.00
loop_
_atom_site_label
_atom_site_fract_x
_atom_site_fract_y
_atom_site_fract_z
_atom_site_occupancy
Be1 0.0000 0.0000 0.0000 1
Cd1 0.1370 0.5000 0.7605 1
Re1 0.5000 0.0000 0.5000 1
# VASP energy	-15.456	eV/cell



# 3
# Be2CdRe | Alexandria | PBE | relaxed
data_Be2CdRe
_chemical_formula_sum 'Be4 Cd2 Re2'
_symmetry_space_group_name_H-M 'A m m 2'
_symmetry_Int_Tables_number 38
_symmetry_space_group_name_Hall 'A 2 -2'
_cell_length_a 3.9821
_cell_length_b 2.7092
_cell_length_c 9.5404
_cell_angle_alpha 90.00
_cell_angle_beta 90.00
_cell_angle_gamma 90.00
loop_
_atom_site_label
_atom_site_fract_x
_atom_site_fract_y
_atom_site_fract_z
_atom_site_occupancy
Be1 0.0000 0.0000 0.0000 1
Be2 0.5000 0.0000 0.1392 1
Cd1 0.0000 0.0000 0.7413 1
Re1 0.5000 0.0000 0.4220 1
# VASP energy	-39.172	eV/cell



# 4
# Be2CdRe | Alexandria | PBE | relaxed
data_Be2CdRe
_chemical_formula_sum 'Be4 Cd2 Re2'
_symmetry_space_group_name_H-M 'I m m m'
_symmetry_Int_Tables_number 71
_symmetry_space_group_name_Hall '-I 2 2'
_cell_length_a 2.7840
_cell_length_b 4.7379
_cell_length_c 8.4229
_cell_angle_alpha 90.00
_cell_angle_beta 90.00
_cell_angle_gamma 90.00
loop_
_atom_site_label
_atom_site_fract_x
_atom_site_fract_y
_atom_site_fract_z
_atom_site_occupancy
Be1 0.0000 0.0000 0.2348 1
Cd1 0.0000 0.5000 0.0000 1
Re1 0.0000 0.5000 0.5000 1
# VASP energy	-37.049	eV/cell



# 5
# Be2CdRe | Alexandria | PBE | relaxed
data_Be2CdRe
_chemical_formula_sum 'Be2 Cd1 Re1'
_symmetry_space_group_name_H-M 'P 4 m m'
_symmetry_Int_Tables_number 99
_symmetry_space_group_name_Hall 'P 4 -2'
_cell_length_a 2.8477
_cell_length_b 2.8477
_cell_length_c 6.3852
_cell_angle_alpha 90.00
_cell_angle_beta 90.00
_cell_angle_gamma 90.00
loop_
_atom_site_label
_atom_site_fract_x
_atom_site_fract_y
_atom_site_fract_z
_atom_site_occupancy
Be1 0.0000 0.0000 0.0000 1
Be2 0.5000 0.5000 0.1646 1
Cd1 0.0000 0.0000 0.4443 1
Re1 0.5000 0.5000 0.7899 1
# VASP energy	-19.356	eV/cell



# 6
# BeCd2Re | Alexandria | PBE | relaxed
data_BeCd2Re
_chemical_formula_sum 'Be3 Cd6 Re3'
_symmetry_space_group_name_H-M 'R -3 m'
- - -

“I’d like to see a decrease (in taxes) of five or six per cent,” he said.

“I’m not firm on whether I’ll vote for this budget. There are items I voted against that are substantial enough — I think we could have done better.”

Among the measures taken to get a 0.4 per cent decrease were trimming the grant to O’Keefe Ranch, budgeting for 50 police officers instead of 52, taking $300,000 from salary reserves to cover some extra projects and instructing administration to find an additional one per cent of reductions in the overall budget.

Items added to the budget were renovations to the Lakers Golf clubhouse, operating the north tourist booth and signalization at intersections.

Council decided Tuesday to take $800,000 out of casino revenue and direct it towards transportation demand management initiatives like transit, trails and bicycle paths.

“The cost of infrastructure for maintaining roads for vehicles is greater than infrastructure for alternate transportation,” said Baumbrough.

“It also ties in with our official community plan and the overall vision for the community.”

Of the $800,000, $200,000 will go into a transit reserve. And while that move was unanimous, some council members expressed reservations.

“We live in a spread-out city and two-thirds of the area wouldn’t consider getting on transit. It’s too far,” said Coun. Shawn Lee.

“This is a transplanted philosophy to us. We’re not the Lower Mainland, we ‘re not London or Toronto. We’re a small city.”

Vernon Morning Star